From Moon Rocks to Test Tubes: Arzeena Ali Exemplifies the STEM Pipeline in Action

September 3, 2014

Arzeena Sultana
Chemistry undergraduate student Arzeena Sultana Ali

Chemistry Merit Scholar and Nano@Illinois REU participant Arzeena Sultana Ali has never met a STEM subject—or STEM program—she didn't like. Exposure to science early on piqued her interest, and from then on, she was hooked. "I always knew I wanted to do science from a very young age," Ali admits. So it was just a matter of figuring out which discipline.

It all started when she was a youngster at Chicago's Kilmer Elementary, a NASA Explorer School, where her love for space science was kindled by participating in the NASA program. When she was in sixth grade, her science teacher informed her, "NASA would love to have you as a speaker at the NASA headquarters," to which she responded, "Ok." So her first foray into the world of public speaking was as a NASA poster child, with her "talk" broadcast live on the NASA channel.

"Sixth grader me, I had no idea what was going on," she reminisces. "I'm like, 'Yea, sure, I'll do it.' I didn't realize how huge it was at that time, and now I look back and go, 'Ok, that was kind of a big deal.'"

What did she talk about? She shared about how NASA was a big part of her school and had influenced her. For example, she related that she had enjoyed talking to astronauts via teleconferences, experiencing NASA's planetarium, and examining moon rocks. "Just things like that that got me excited about science," she explains. And for Ali, once her course had been set along the STEM trajectory by NASA, it was just a short journey from moon rocks to test tubes.  

Arzeena Ali at work in researcher Dr. Yi Lu's lab as a participant in the Nano@Illinois REU program.

However, it wasn't a straight shot. After transferring to Chicago Math and Science Academy as a seventh grader, she took a slight detour in high school, where she fell in love with biology in addition to her infatuation with earth and space science. In fact, she had pretty much settled on biology as a career. "But then I took chemistry, and I thought, 'You know what, I like the application more. I just feel like I can build skills and apply myself to so many more things, versus having to memorize."

With her attraction to so many different fields, how did she finally settle on chemistry? She indicates that in her senior year, she faced a dilemma regarding what to apply for, biology or chemistry. So she gambled: "I took a chance. I literally took a chance. I said, 'You know what, I'm going to do chemistry.'" And it paid off.

It turns out she was right about choosing chemistry over biology. In fact, she took a biology course her freshman year and discovered it wasn't for her. "Having to memorize little itty bitty things that I would forget eventually, I didn't find that useful for me," she explains. "I've just always liked applications, analytical thinking, math, and physics, things like that."

And taking organic chemistry last year further confirmed her decision. "I was really excited knowing I was going to be taking inorganic chemistry, after doing a year of organic. So I was like, 'Ok, I chose the right spot.'"

However, it hasn't always been a smooth flight since she made that decision: there was a period early on during her career at Illinois, where she hit some turbulence. However, it was her mentor, Gretchen Adams, the Director of Illinois' Chemistry Merit Program, who gave her the support she needed to stick with it.

Arzeena Ali and Gretchen Adams
Arzeena Ali and Gretchen Adams (right), her mentor (photo courtesy of Gretchen Adams).

## The text is interrupted by crystal structures
┌──
Computed powder diffraction line list
Compound: RbGeBr3
Radiation: Cu Kα
Structure: a crystal structure in the Materials Project, relaxed with GGA-PBE
Neutral-atom scattering factors, no anomalous dispersion.

Largest 12 diffraction maxima, by angle, 5 to 70 degrees two-theta:
hkl, 2θ (°), d (Å), I/Imax
1 1 -1, 19.35, 4.587, 51
0 0 2, 21.25, 4.182, 39
0 1 2, 24.25, 3.670, 91
0 2 1, 25.58, 3.482, 51
1 2 -1, 28.03, 3.184, 45
2 0 -1, 28.64, 3.117, 81
1 2 1, 31.31, 2.857, 100
1 2 -2, 32.23, 2.778, 44
0 1 3, 34.23, 2.620, 26
0 3 2, 41.44, 2.179, 25
0 4 0, 47.48, 1.915, 29
3 2 0, 51.83, 1.764, 31

Cell and atoms:
```
RbGeBr3
1.0
6.2447 0.0000 0.0000
0.0000 7.6595 0.0000
-2.6091 0.0000 8.3638
Rb Ge Br
2 2 6
direct
0.1725 0.2500 0.2993
0.8275 0.7500 0.7007
0.4282 0.2500 0.8742
0.5718 0.7500 0.1258
0.1647 0.7500 0.1160
0.3153 0.0044 0.6755
0.3153 0.4956 0.6755
0.6847 0.5044 0.3245
0.6847 0.9956 0.3245
0.8353 0.2500 0.8840
```


Computed powder diffraction line list
Compound: RbGeBr3
Radiation: Cu Kα
Structure: a crystal structure in the Materials Project, relaxed with GGA-PBE
Neutral-atom scattering factors, no anomalous dispersion.

Largest 12 diffraction maxima, by angle, 5 to 70 degrees two-theta:
hkl, 2θ (°), d (Å), I/Imax
0 0 2, 15.54, 5.700, 24
1 1 2, 22.05, 4.031, 16
0 1 3, 26.09, 3.416, 16
2 0 2, 26.43, 3.372, 66
0 2 2, 27.75, 3.214, 33
1 1 3, 28.22, 3.163, 15
2 1 2, 28.85, 3.095, 17
1 2 2, 29.78, 3.001, 20
0 0 4, 31.38, 2.850, 100
3 1 0, 34.15, 2.626, 18
1 3 2, 39.66, 2.273, 20
2 2 4, 44.98, 2.016, 27

Cell and atoms:
```
RbGeBr3
1.0
8.3680 0.0000 0.0000
0.0000 7.7826 0.0000
0.0000 0.0000 11.4055
Rb Ge Br
4 4 12
direct
0.0775 0.0251 0.0000
0.4225 0.5251 0.5000
0.5775 0.4749 0.0000
0.9225 0.9749 0.5000
0.0308 0.5163 0.2304
0.4692 0.0163 0.7304
0.5308 0.9837 0.2304
0.9692 0.4837 0.7304
0.0011 0.5718 0.0090
0.1837 0.7928 0.2806
0.2187 0.8237 0.7120
0.2813 0.3237 0.2120
0.3163 0.2928 0.7806
0.4989 0.0718 0.5090
0.5011 0.9282 0.0090
0.6837 0.7072 0.2806
0.7187 0.6763 0.7120
0.7813 0.1763 0.2120
0.8163 0.2072 0.7806
0.9989 0.4282 0.5090
```


Computed powder diffraction line list
Compound: Rb3Ge2Br7
Radiation: Cu Kα
Structure: a crystal structure in the Materials Project, relaxed with GGA-PBE
Neutral-atom scattering factors, no anomalous dispersion.

Largest 12 diffraction maxima, by angle, 5 to 70 degrees two-theta:
hkl, 2θ (°), d (Å), I/Imax
3 1 0, 27.13, 3.286, 73
1 1 -4, 27.46, 3.248, 65
2 3 1, 28.70, 3.110, 45
0 3 3, 28.86, 3.093, 42
1 4 -1, 29.13, 3.065, 100
3 2 0, 29.66, 3.012, 35
1 2 -4, 29.97, 2.982, 29
3 1 -3, 30.52, 2.929, 24
3 2 -3, 32.79, 2.731, 49
2 0 4, 35.31, 2.542, 61
4 2 -4, 42.42, 2.131, 31
2 6 -2, 46.37, 1.958, 27

Cell and atoms:
```
Rb3Ge2Br7
1.0
10.4136 0.0000 0.0000
0.0000 13.0360 0.0000
-2.7979 0.0000 13.2162
Rb Ge Br
12 8 28
direct
0.0495 0.1773 0.4665
0.0495 0.3227 0.9665
0.2748 0.6846 0.3599
0.2748 0.8154 0.8599
0.3882 0.1927 0.8082
0.3882 0.3073 0.3082
0.6118 0.6927 0.6918
0.6118 0.8073 0.1918
0.7252 0.1846 0.1401
└──

"First year here—you know, you're getting acclimated to the college environment—it was hard. I stuck it out. Gretchen supported me through everything. Now, I just love chemistry."

Currently sort of Gretchen Adam's Girl Friday, Ali says her relationship with Adams has impacted her "So much. So much. I always go to her for anything and everything. And now that I'm her TA I'm going to pester her even more."

"I can't thank her enough," Ali continues. "Ever since my two years here, that's the one person that comes to mind as far as all of the support that she's given me, like helping me pull through the chemistry program, just all of the opportunities that she's given me, helping me find research, getting me into the nano@Illinois REU, becoming a TA. I can't thank her enough."

In fact, Ali reports that she's referred all of her friends to Adams too. "If any of my friends ever need something, I'm like, "Go to Gretchen. You need something? Go to Gretchen. You want to get into research? Go to Gretchen. You want to do Merit? Go to Gretchen."

In addition to mentoring Ali and the many friends Ali has sent her way, Adams, besides being Director of the Chemistry Merit Program and a Chemistry instructor, is herself working on a Ph.D. in Chemistry with a specialization in Chemistry Education...and a mother. "She's a Wonder Woman," acknowledges Ali.

However, Ali has yet to see her mentor in one of her most famous roles: a poster child too—Adams is the queen of chemistry demos…and blowing things up.

Ali has, however, experienced Adams in action obliquely: "I remember once I was walking by her class, and I heard a loud explosion, and I was like, "Geeze!" I told her, "You nearly gave me a heart attack! That was pretty loud."

Chemistry's Don Decoste and Gretchen Adams (right), as she ignites a gas-filled balloon during a recent chemistry demo.

Gretchen Adams isn't Ali's only source of support: the chemistry junior also credits the Merit Program itself as helping her to succeed in Chemistry at Illinois:

"Merit helped me stick it out through the chemistry program. The thing is, I was able to meet people with similar interests as me. In addition to that, just having additional time to study chemistry, building skills for how to prepare and study for exams, that's basically how Merit helped me…I'm pretty sure if I wasn't in the Merit program, I probably wouldn't have stuck it out."

Another benefit of being a Merit Scholar is, of course, financial. Her scholarship, via the National Science Foundation's S-STEM (Scholarships in Science, Technology, Engineering, and Mathematics) program, has helped with tuition, purchasing textbooks, and covering her living costs. "Yea, the financial through the program has been very helpful. It's provided a lot of relief from the financial strain as far as my family goes." (Her brother is a freshman on campus this fall,)

According to Ali, mentoring and networking are also additional benefits of being a Merit Scholar. She was assigned a mentor (in addition to Adams), Dr. Yi Lu, who also happens to be her research professor.

"So that's been helpful, because I've been working in his research lab, and Dr. Lu knows me really well, and whenever I need something, he responds to me right away."

Ali indicates that she's actually taking an inorganic chemistry course with Dr. Lu this semester. "That's really funny, being in his class now, and all of his TAs are the grad students that I know. So I'm sitting there going, 'Hey, guys!'"

Have those relationships garnered her any special perks so far—such as better grades, for instance?

"No, not yet. I mean, class just started. Hopefully. We'll see."

She also rattles off a list of Chemistry professors she's met via Merit that reads like a Who's Who in Chemistry. "So getting to know other professors…I just think that's really cool. So networking has been great, actually."

Ali presenting a poster on her research in nanomaterials at an undergraduate research poster session in Spring 2014.

Reinforcing the notion that she's never met a STEM subject she hasn't liked, Ali even ventured north of Green Street this year to take physics, and is liking it. "Which is insane, because I've always been scared of physics," she admits. Plus, this being a top engineering school, everyone was warning her off, like physics was the holy grail: "Gasp…physics?" So in trepidation, she signed up for the class, thinking: "It's going to kill me over here." However, for her, after wading through organic chemistry, taking physics was like being on vacation.

"Yesterday, sitting through the lecture, I was going, 'I like this!' Because after a year of doing orgo and having no math, I missed the math. And I'm sitting there, 'You know, this is actually nice. It's relaxing.'"

Besides never meeting a STEM subject she hasn't liked, Ali has never met a STEM program she hasn't liked either. Of course, it was her early exposure to NASA's program that got her hooked. But in addition to Merit and its Merit Scholars Program, this past summer Ali participated in the Nano@Illinois REU (Research Experience for Undergraduates), where she worked for Dr. Lu, continuing the nanomaterials project she has been doing in his lab.

[Data records that have nothing to do with the piece]
'''
# 1
The following is a simulated XRD peak list of TaZn2SnO6. It was derived from DFT lattice parameters and positions (GGA-PBE), using Cu Kα.
Neutral-atom scattering factors, no anomalous dispersion.

Principal peaks in the range 2θ from 10° to 90°, by angle:
d = 3.950 Å, rel. 20; d = 3.817 Å, rel. 9; d = 2.793 Å, rel. 52; d = 2.745 Å, rel. 100; d = 1.975 Å, rel. 24; d = 1.908 Å, rel. 11; d = 1.603 Å, rel. 49; d = 1.576 Å, rel. 23; d = 1.372 Å, rel. 12; d = 1.245 Å, rel. 9

Structure:
```
data_TaZn2SnO6
_chemical_formula_sum 'Ta2 Zn4 Sn2 O12'
_cell_length_a 5.491
_cell_length_b 7.899
_cell_length_c 5.496
_cell_angle_alpha 90.00
_cell_angle_beta 91.97
_cell_angle_gamma 90.00
_symmetry_space_group_name_H-M 'P 1 21/m 1'
_symmetry_Int_Tables_number 11
_symmetry_space_group_name_Hall '-P 2yb'
loop_
_atom_site_label
_atom_site_type_symbol
_atom_site_fract_x
_atom_site_fract_y
_atom_site_fract_z
Ta1 Ta 0.000 0.000 0.000
Zn1 Zn 0.020 0.250 0.489
Zn2 Zn 0.490 0.250 0.972
Sn1 Sn 0.500 0.000 0.500
O1 O 0.125 0.250 0.070
O2 O 0.144 0.565 0.321
O3 O 0.310 0.570 0.849
O4 O 0.381 0.250 0.596
```


# 2
The following is a simulated XRD peak list of Ta2Zn2SnO8. It was derived from DFT lattice parameters and positions (GGA-PBE), using Cu Kα.
Neutral-atom scattering factors, no anomalous dispersion.

Principal peaks in the range 2θ from 10° to 90°, by angle:
d = 4.556 Å, rel. 37; d = 3.523 Å, rel. 68; d = 3.460 Å, rel. 28; d = 3.441 Å, rel. 49; d = 2.937 Å, rel. 52; d = 2.877 Å, rel. 83; d = 2.716 Å, rel. 55; d = 2.627 Å, rel. 100; d = 1.869 Å, rel. 29; d = 1.844 Å, rel. 28

Structure:
```
data_Ta2Zn2SnO8
_chemical_formula_sum 'Ta8 Zn8 Sn4 O32'
_cell_length_a 21.000
_cell_length_b 6.004
_cell_length_c 5.434
_cell_angle_alpha 90.00
_cell_angle_beta 91.60
_cell_angle_gamma 90.00
_symmetry_space_group_name_H-M 'C 1 2/c 1'
_symmetry_Int_Tables_number 15
_symmetry_space_group_name_Hall '-C 2yc'
loop_
_atom_site_label
_atom_site_type_symbol
_atom_site_fract_x
_atom_site_fract_y
_atom_site_fract_z
Ta1 Ta 0.126 0.154 0.224
Zn1 Zn 0.220 0.349 0.723
Sn1 Sn 0.000 0.321 0.750
O1 O 0.068 0.373 0.125
O2 O 0.082 0.090 0.536
O3 O 0.181 0.112 0.921
O4 O 0.199 0.349 0.356
```


# 3
The following is a simulated XRD peak list of TcSnO3. It was derived from DFT lattice parameters and positions (GGA-PBE), using Cu Kα.
Neutral-atom scattering factors, no anomalous dispersion.

Principal peaks in the range 2θ from 10° to 90°, by angle:
d = 2.817 Å, rel. 100; d = 2.300 Å, rel. 4; d = 1.992 Å, rel. 31; d = 1.627 Å, rel. 40; d = 1.409 Å, rel. 19; d = 1.260 Å, rel. 18; d = 1.201 Å, rel. 1; d = 1.150 Å, rel. 7

Structure:
```
data_TcSnO3
_chemical_formula_sum 'Tc1 Sn1 O3'
_cell_length_a 3.984
_cell_length_b 3.984
_cell_length_c 3.984
_cell_angle_alpha 90.00
_cell_angle_beta 90.00
_cell_angle_gamma 90.00
_symmetry_space_group_name_H-M 'P m -3 m'
_symmetry_Int_Tables_number 221
_symmetry_space_group_name_Hall '-P 4 2 3'
loop_
_atom_site_label
_atom_site_type_symbol
_atom_site_fract_x
'''

Dr. Yi Lu and Arzeena Ali, whom he is mentoring (photo courtesy of Dr. Yi Lu).

Ali says participating in the REU with its classes, 10 weeks of continuous research, a paper due at the end, an oral presentation, and a poster presentation was intense: "It was a lot of work...I was stressed out," she admits. But despite all the hard work, she liked it; plus, it gave her a taste of what graduate school would be like.

"But when I look back at it, I had a lot of fun. I can't say I didn't have a lot of fun. And that research aspect, presenting my research, I enjoyed it a lot. So graduate school is one thing I'm strongly considering."

With her wide-ranging interests in science, what has Ali settled on as a career? She'd like to be in industry or teaching. What would her emphasis be? Ali hopes to meld the new with a little of the old: so nanomaterials, and—just shy of doing a complete circle back to earth and space science, which was her first love—the environment.

"If I can apply nanomaterials in the environment, global warming, something like that, I would love to intertwine those two sciences."

Story and photos by Elizabeth Innes I-STEM Communications Specialist.
More: Chemistry, STEM Pipeline, Student Spotlight, Women in STEM, 2014

## Calculated crystals from another source follow
~~~
Record 1
This entry pairs a crystal structure of SrC with its computed powder XRD pattern. Radiation: Cu Kα X-rays. Structure: a DFT-relaxed cell (PBE, Alexandria).

Structural model:
a b c (Å): 6.661 6.661 6.661
angles (deg): 144.79 74.83 116.40
Atoms (fractional coordinates):
Sr  0.000  0.000  0.000
Sr  0.387  0.080  0.307
Sr  0.773  0.080  0.693
C  0.076  0.702  0.374
C  0.228  0.728  0.500
C  0.329  0.702  0.626

Largest 10 diffraction maxima, in order of falling intensity, 2θ from 10° to 90°:
| d_spacing | 2theta | I (rel.) |
| --- | --- | --- |
| 3.495 | 25.49 | 100 |
| 3.152 | 28.32 | 72 |
| 2.654 | 33.77 | 52 |
| 2.117 | 42.72 | 46 |
| 3.510 | 25.37 | 44 |
| 2.920 | 30.61 | 27 |
| 2.024 | 44.77 | 24 |
| 1.698 | 54.02 | 23 |
| 2.015 | 44.99 | 16 |
| 2.568 | 34.94 | 15 |


Record 2
This entry pairs a crystal structure of SrTa2C with its computed powder XRD pattern. Radiation: Cu Kα X-rays. Structure: a DFT-relaxed cell (PBE, Alexandria).

Structural model:
a b c (Å): 6.560 6.560 6.560
angles (deg): 60.00 60.00 60.00
Atoms (fractional coordinates):
Sr  0.125  0.125  0.125
Sr  0.875  0.875  0.875
Ta  0.000  0.500  0.500
Ta  0.500  0.000  0.500
Ta  0.500  0.500  0.000
Ta  0.500  0.500  0.500
C  0.375  0.375  0.375
C  0.625  0.625  0.625

Largest 10 diffraction maxima, in order of falling intensity, 2θ from 10° to 90°:
| d_spacing | 2theta | I (rel.) |
| --- | --- | --- |
| 2.797 | 32.00 | 100 |
| 2.678 | 33.46 | 69 |
| 5.356 | 16.55 | 47 |
| 1.640 | 56.08 | 39 |
| 1.785 | 51.16 | 36 |
| 1.399 | 66.90 | 29 |
| 1.208 | 79.33 | 23 |
| 2.319 | 38.83 | 18 |
| 3.280 | 27.19 | 14 |
| 2.128 | 42.47 | 13 |


Record 3
This entry pairs a crystal structure of SrYC2 with its computed powder XRD pattern. Radiation: Cu Kα X-rays. Structure: a DFT-relaxed cell (PBE, Alexandria).

Structural model:
a b c (Å): 6.033 6.033 6.033
angles (deg): 113.53 113.53 101.63
Atoms (fractional coordinates):
Sr  0.000  0.000  0.000
Sr  0.750  0.250  0.500
Y  0.250  0.750  0.500
Y  0.500  0.500  0.000
C  0.164  0.125  0.539
C  0.375  0.836  0.961
C  0.586  0.625  0.461
C  0.875  0.414  0.039

Largest 10 diffraction maxima, in order of falling intensity, 2θ from 10° to 90°:
| d_spacing | 2theta | I (rel.) |
| --- | --- | --- |
| 2.955 | 30.25 | 100 |
| 3.307 | 26.97 | 51 |
| 1.833 | 49.73 | 48 |
| 2.338 | 38.50 | 31 |
| 1.652 | 55.64 | 30 |
| 1.478 | 62.88 | 20 |
| 1.168 | 82.56 | 15 |
| 1.228 | 77.79 | 13 |
| 1.443 | 64.60 | 11 |
| 1.226 | 77.91 | 6 |


Record 4
This entry pairs a crystal structure of Ta4C3 with its computed powder XRD pattern. Radiation: Cu Kα X-rays. Structure: a DFT-relaxed cell (PBE, Alexandria).

Structural model:
a b c (Å): 10.439 10.439 10.439
angles (deg): 17.24 17.24 17.24
Atoms (fractional coordinates):
Ta  0.000  0.000  0.000
Ta  0.164  0.164  0.164
Ta  0.579  0.579  0.579
Ta  0.749  0.749  0.749
C  0.289  0.289  0.289
C  0.377  0.377  0.377
C  0.871  0.871  0.871

Largest 10 diffraction maxima, in order of falling intensity, 2θ from 10° to 90°:
~~~
## End of the calculated crystals

Chemistry junior Arzeena Ali (left) and Li Huey Tan, a graduate student in Dr. Lu's lab who has helped mentor Ali.